Get ready for the future of post-cookie marketing with TikTok and Dentsu Digital

March 10, 2023
Dentsu X-Stack

By now, we're all familiar with cookies—those little pieces of data that provide marketers with the information they need to personalize the user experience and target ads to the right audiences. But things are changing. Online data privacy is becoming increasingly protected, with Google and Apple announcing plans to phase out third-party cookies. This signals a significant shift for conventional ad tracking tools and the accuracy of ad delivery. To help advertisers better prepare for a world without third-party cookies, TikTok has partnered with global marketing agency Dentsu Digital to integrate TikTok's Events API into Dentsu Digital's cookie-independent X-Stack Connect measurement platform globally.

Understanding cookies 

Cookies are small pieces of information that are generated and stored on the computer by default when a user is browsing a website. First-party cookies are generated and used within a single website, whereas third-party cookies are shared across different domains. First-party cookies help you to learn about what a user did on your website, see how many times they visited, and gain insights into where you could develop an effective marketing strategy. But simply knowing a user's behavior on your own website may provide a partial picture. Third-party cookies help build a more comprehensive profile of a user's overall online behaviors, such as the websites they visit frequently, purchases they make, and interests they've demonstrated on various websites, leading to more efficient targeting.

What is Dentsu Digital X-Stack Connect?

Dentsu Digital's X-Stack Connect is a server-side measurement platform that helps advertisers measure online behaviors on websites using server access logs with user consent. Profiles can be built around actions like website visits, logins, and form entry information. Dentsu Digital clients using X-Stack Connect also enjoy the fast and easy implementation of TikTok's Event API. "For advertisers, this will improve ad measurement, which has been affected by cookie restrictions, and improve ad delivery performance," said Chiharu Koyama, Manager at Dentsu Digital data science group. "This will allow them to deliver more optimized ads to TikTok users."

• Materials data, as found in the file:
<<<
Version P
Material: Y3NiIr
Method: DFT, PBE-GGA
State: optimized geometry

a = 5.3233 Å, b = 5.3233 Å, c = 5.3233 Å
α = 90.00°, β = 90.00°, γ = 90.00°
Fractional coordinates of all 5 atoms:
1 Y 0.0000 0.0000 0.5000
2 Y 0.0000 0.5000 0.0000
3 Y 0.5000 0.0000 0.0000
4 Ni 0.5000 0.5000 0.5000
5 Ir 0.0000 0.0000 0.0000

For the density of states at the Fermi level, the calculation gives 0.811 states/eV/atom. For the total magnetic moment, the calculation gives 0.000 μB per atom.

=====

Version Q
Material: Y3NiIr
Method: DFT, PBE-GGA
State: optimized geometry

a = 4.0626 Å, b = 9.0339 Å, c = 6.3583 Å
α = 90.00°, β = 90.00°, γ = 90.00°
Fractional coordinates of all 10 atoms:
1 Y 0.2500 0.0570 0.2312
2 Y 0.2500 0.2500 0.7217
3 Y 0.2500 0.4430 0.2312
4 Y 0.7500 0.5570 0.7688
5 Y 0.7500 0.7500 0.2783
6 Y 0.7500 0.9430 0.7688
7 Ni 0.2500 0.7500 0.5722
8 Ni 0.7500 0.2500 0.4278
9 Ir 0.2500 0.7500 0.9722
10 Ir 0.7500 0.2500 0.0278

For the density of states at the Fermi level, the calculation gives 1.004 states/eV/atom. For the total magnetic moment, the calculation gives 0.000 μB per atom.

=====

Which of them is the most stable, and which is the least stable? version Q and version P, in that order.

=====

Version P
Material: Y2NiIr
Method: DFT, PBE-GGA
State: optimized geometry

a = 4.8346 Å, b = 4.8346 Å, c = 4.8346 Å
α = 60.00°, β = 60.00°, γ = 60.00°
Fractional coordinates of all 4 atoms:
1 Y 0.2500 0.2500 0.2500
2 Y 0.7500 0.7500 0.7500
3 Ni 0.0000 0.0000 0.0000
4 Ir 0.5000 0.5000 0.5000

For the density of states at the Fermi level, the calculation gives 0.624 states/eV/atom. For the total magnetic moment, the calculation gives 0.000 μB per atom.

=====

Version Q
Material: Y2NiIr
Method: DFT, PBE-GGA
State: optimized geometry

a = 3.9423 Å, b = 3.9423 Å, c = 5.6912 Å
α = 90.00°, β = 90.00°, γ = 90.00°
Fractional coordinates of all 4 atoms:
1 Y 0.0000 0.0000 0.0000
2 Y 0.5000 0.5000 0.4203
3 Ni 0.5000 0.5000 0.9113
4 Ir 0.0000 0.0000 0.5031

For the density of states at the Fermi level, the calculation gives 0.618 states/eV/atom. For the total magnetic moment, the calculation gives 0.000 μB per atom.

=====

Version R
Material: Y2NiIr
Method: DFT, PBE-GGA
State: optimized geometry

a = 4.1542 Å, b = 5.5869 Å, c = 5.5869 Å
α = 40.74°, β = 90.00°, γ = 90.00°
Fractional coordinates of all 4 atoms:
1 Y 0.0000 0.0000 0.0000
2 Y 0.5000 0.2860 0.2860
3 Ni 0.5000 0.5695 0.5695
4 Ir 0.0000 0.7161 0.7161

For the density of states at the Fermi level, the calculation gives 0.559 states/eV/atom. For the total magnetic moment, the calculation gives 0.000 μB per atom.

=====

Version S
Material: Y2NiIr
Method: DFT, PBE-GGA
State: optimized geometry

a = 4.8053 Å, b = 4.8053 Å, c = 3.4641 Å
α = 90.00°, β = 90.00°, γ = 90.00°
Fractional coordinates of all 4 atoms:
1 Y 0.0000 0.5000 0.0000
2 Y 0.5000 0.0000 0.0000
3 Ni 0.0000 0.0000 0.5000
4 Ir 0.5000 0.5000 0.5000
>>>
• End of the materials data:

Dentsu Digital X-Stack Connect: Measurement infrastructure for the privacy-conscious cookie-free era

What is TikTok Events API?

TikTok Events API is a secure server-to-server interface that allows you to send events from your website directly to TikTok for measurement. Events API offers multiple benefits:

  • Improved stability and security: All conversions can be measured without being affected by browser or other connection issues.

  • Flexible privacy control: Advertisers can choose which data is shared and when, with privacy controls based on business objectives.

The article is interrupted by crystal structures =
<<<
[1]
First-principles (PBEsol) data for a relaxed La2CrGa2 crystal, as listed in the Alexandria database.

Cell: 3.619 3.619 9.682 Å, 100.77 100.77 90.00°
Fractional positions:
Cr (0.000, 0.000, 0.000)
Ga (0.250, 0.750, 0.500)
Ga (0.750, 0.250, 0.500)
La (0.399, 0.399, 0.799)
La (0.601, 0.601, 0.201)

## Properties
calculated volume = 24.464 Å³/atom
ΔE_f = 184 meV/atom


[2]
First-principles (PBEsol) data for a relaxed Ba2YNi3O8 crystal, as listed in the Alexandria database.

Cell: 3.811 3.811 11.419 Å, 90.00 90.00 90.00°
Fractional positions:
Ba (0.500, 0.500, 0.171)
Ba (0.500, 0.500, 0.829)
Y (0.500, 0.500, 0.500)
Ni (0.000, 0.000, 0.345)
Ni (0.000, 0.000, 0.000)
Ni (0.000, 0.000, 0.655)
O (0.000, 0.500, 0.378)
O (0.500, 0.000, 0.378)
O (0.500, 0.000, 0.000)
O (0.000, 0.000, 0.180)
O (0.000, 0.500, 0.622)
O (0.500, 0.000, 0.622)
O (0.000, 0.000, 0.820)
O (0.000, 0.500, 0.000)

## Properties
uncorrected formation energy = -1.84 eV per atom
calculated volume = 11.843 Å³/atom


[3]
First-principles (PBEsol) data for a relaxed SrSc2Ir2 crystal, as listed in the Alexandria database.

Cell: 4.528 4.528 6.488 Å, 110.42 110.42 90.00°
Fractional positions:
Sc (0.356, 0.356, 0.712)
Sc (0.644, 0.644, 0.288)
Sr (0.000, 0.000, 0.000)
Ir (0.250, 0.750, 0.500)
Ir (0.750, 0.250, 0.500)

## Properties
energy relative to the lowest polymorph listed for this composition = 382 meV per atom
calculated volume = 23.138 Å³/atom
ΔE_f = -267 meV/atom

=====

Record 1
The following is a DFT calculation (PBE) of DyErIn2 after structural relaxation.

As for the space group: No. 166. The calculation puts the calculated formation energy at -31 kJ/mol of atoms. As for the spin magnetization: 0.00 μB per formula unit.

```
DyErIn2
1.0
3.6686 0.0000 0.0000
-1.8343 3.1771 0.0000
0.0000 0.0000 29.0820
Dy Er In
3 3 6
direct
0.0000 0.0000 0.0000
0.3333 0.6667 0.6667
0.6667 0.3333 0.3333
0.0000 0.0000 0.5000
0.3333 0.6667 0.1667
0.6667 0.3333 0.8333
0.0000 0.0000 0.2495
0.0000 0.0000 0.7505
0.3333 0.6667 0.4172
0.3333 0.6667 0.9162
0.6667 0.3333 0.0838
0.6667 0.3333 0.5828
```



Record 2
The following is a DFT calculation (PBE) of DyErIn4 after structural relaxation.

As for the space group: No. 216. As for the offset from the most stable computed form: 0.076 eV per atom. The calculation puts the calculated formation energy at -29 kJ/mol of atoms. As for the spin magnetization: 0.00 μB per formula unit.

```
DyErIn4
1.0
0.0000 4.2291 4.2291
4.2291 0.0000 4.2291
4.2291 4.2291 0.0000
Dy Er In
1 1 4
direct
0.0000 0.0000 0.0000
0.2500 0.2500 0.2500
0.1250 0.6250 0.6250
0.6250 0.1250 0.6250
0.6250 0.6250 0.1250
0.6250 0.6250 0.6250
```



Record 3
The following is a DFT calculation (PBE) of DyEr3In2 after structural relaxation.

As for the space group: No. 71. As for the offset from the most stable computed form: 0.399 eV per atom. The calculation puts the calculated formation energy at 12 kJ/mol of atoms. As for the spin magnetization: 0.01 μB per formula unit.

```
DyEr3In2
1.0
>>>

  • Optimize through measurement: Events API allows you to accurately measure events and optimize ad targeting.

Follow our best practices to learn more about how to get started with Events API.

Get started

To learn more about X-Stack Connect and how it can help your business thrive in a cookieless future, contact Dentsu Digital for details. Don't have a TikTok Ads Manager account? Click here to get started.